[Data]
~~~
one:
A relaxed structure of U2NiAs2H24O24. Source: the Materials Project, functional GGA+U.

```
U2NiAs2H24O24
1.0
5.095 4.790 1.564
2.078 -3.997 5.635
8.344 -5.636 -5.137
H O Ni As U
24 24 1 2 2
direct
0.177 0.464 0.130
0.282 0.181 0.073
0.436 0.090 0.271
0.099 0.754 0.180
0.823 0.536 0.870
0.172 0.949 0.196
0.530 0.093 0.794
0.626 0.650 0.257
0.564 0.910 0.729
0.470 0.907 0.206
0.901 0.246 0.820
0.718 0.819 0.927
0.828 0.541 0.731
0.731 0.724 0.059
0.452 0.619 0.183
0.802 0.220 0.129
0.198 0.780 0.871
0.269 0.276 0.941
0.652 0.088 0.099
0.348 0.912 0.901
0.828 0.051 0.804
0.374 0.350 0.743
0.172 0.459 0.269
0.548 0.381 0.817
0.541 0.773 0.594
0.810 0.766 0.982
0.939 0.112 0.829
0.283 0.405 0.598
0.190 0.234 0.018
0.213 0.536 0.192
0.258 0.747 0.419
0.228 0.853 0.936
0.089 0.317 0.407
0.717 0.595 0.402
0.203 0.033 0.584
0.911 0.683 0.593
0.433 0.305 0.818
0.772 0.147 0.064
0.577 0.961 0.805
0.567 0.695 0.182
0.805 0.317 0.254
0.459 0.227 0.406
0.061 0.888 0.171
0.797 0.967 0.416
0.742 0.253 0.581
0.787 0.464 0.808
0.195 0.683 0.746
0.423 0.039 0.195
0.000 0.000 0.000
0.740 0.757 0.499
0.260 0.243 0.501
0.772 0.277 0.418
0.228 0.723 0.582
```

***

two:
A relaxed structure of U2NiAs2H24O24. Source: the Materials Project, functional GGA+U.

```
U2NiAs2H24O24
1.0
7.237 0.000 0.000
0.174 7.235 0.000
1.910 1.505 11.055
H Ni O As U
24 1 24 2 2
direct
0.566 0.369 0.324
0.623 0.646 0.727
0.556 0.893 0.233
0.531 0.076 0.299
0.072 0.110 0.249
0.069 0.744 0.685
0.183 0.755 0.388
0.817 0.245 0.612
0.931 0.256 0.315
0.444 0.107 0.767
0.253 0.132 0.612
0.817 0.539 0.366
0.747 0.868 0.388
0.345 0.876 0.407
0.281 0.237 0.479
0.655 0.124 0.593
0.833 0.542 0.227
0.434 0.631 0.676
0.928 0.890 0.751
0.167 0.458 0.773
0.469 0.924 0.701
0.377 0.354 0.273
0.183 0.461 0.634
0.719 0.763 0.521
0.000 0.000 0.500
0.819 0.313 0.753
0.220 0.825 0.449
0.206 0.538 0.695
0.461 0.225 0.905
0.912 0.696 0.091
0.780 0.175 0.551
0.539 0.775 0.095
0.272 0.777 0.918
0.181 0.687 0.247
0.794 0.462 0.305
0.728 0.223 0.082
0.817 0.804 0.451
0.088 0.304 0.909
0.808 0.952 0.901
0.012 0.145 0.328
0.988 0.855 0.672
0.269 0.421 0.089
0.447 0.297 0.335
0.731 0.579 0.911
0.553 0.703 0.665
0.554 0.939 0.311
0.192 0.048 0.099
0.446 0.061 0.689
0.183 0.196 0.549
0.253 0.249 0.001
0.747 0.751 0.999
0.228 0.734 0.082
0.772 0.266 0.918
```

***

two is preferred energetically. Next in line: 0.8 kJ/mol of atoms higher.

***

one:
A relaxed structure of LiMoAsO6. Source: the Materials Project, functional GGA+U.

```
LiMoAsO6
1.0
8.707 0.000 0.000
0.000 5.234 0.000
0.000 0.949 10.456
O Li As Mo
24 4 4 4
direct
0.435 0.392 0.069
0.627 0.773 0.969
0.746 0.244 0.517
0.446 0.541 0.309
0.612 0.957 0.227
0.568 0.821 0.505
0.935 0.608 0.931
0.237 0.499 0.821
0.246 0.756 0.483
0.068 0.179 0.495
0.929 0.068 0.266
0.752 0.891 0.732
0.366 0.871 0.062
0.737 0.501 0.179
0.946 0.459 0.691
0.866 0.129 0.938
0.429 0.932 0.734
0.606 0.351 0.767
0.112 0.043 0.773
0.923 0.678 0.449
0.127 0.227 0.031
0.252 0.109 0.268
0.106 0.649 0.233
0.423 0.322 0.551
0.906 0.311 0.103
0.406 0.689 0.897
0.736 0.966 0.390
0.236 0.034 0.610
0.802 0.842 0.894
0.926 0.378 0.536
0.426 0.622 0.464
0.302 0.158 0.106
0.567 0.677 0.157
0.581 0.118 0.664
0.067 0.323 0.843
0.081 0.882 0.336
```

***

two:
A relaxed structure of LiMoAsO6. Source: the Materials Project, functional GGA+U.

```
LiMoAsO6
1.0
5.006 0.000 0.000
0.000 9.096 0.000
0.000 0.000 9.573
O As Mo Li
24 4 4 4
direct
0.418 0.371 0.750
0.738 0.345 0.516
0.904 0.495 0.755
0.762 0.345 0.016
0.297 0.536 0.504
0.797 0.036 0.996
0.791 0.672 0.524
0.709 0.672 0.024
0.262 0.845 0.484
0.703 0.036 0.496
0.446 0.672 0.766
0.918 0.871 0.750
0.209 0.172 0.476
0.582 0.871 0.250
0.238 0.845 0.984
0.404 0.995 0.745
0.096 0.995 0.245
0.291 0.172 0.976
0.946 0.172 0.734
0.082 0.371 0.250
0.554 0.172 0.234
0.054 0.672 0.266
0.203 0.536 0.004
0.596 0.495 0.255
0.900 0.179 0.552
0.600 0.179 0.052
0.400 0.679 0.948
0.100 0.679 0.448
0.890 0.498 0.161
0.610 0.498 0.661
~~~

[Activity]
Now copy all of the notes above exactly.

[Outcome]
one:
A relaxed structure of U2NiAs2H24O24. Source: the Materials Project, functional GGA+U.

```
U2NiAs2H24O24
1.0
5.095 4.790 1.564
2.078 -3.997 5.635
8.344 -5.636 -5.137
H O Ni As U
24 24 1 2 2
direct
0.177 0.464 0.130
0.282 0.181 0.073
0.436 0.090 0.271
0.099 0.754 0.180
0.823 0.536 0.870
0.172 0.949 0.196
0.530 0.093 0.794
0.626 0.650 0.257
0.564 0.910 0.729
0.470 0.907 0.206
0.901 0.246 0.820
0.718 0.819 0.927
0.828 0.541 0.731
0.731 0.724 0.059
0.452 0.619 0.183
0.802 0.220 0.129
0.198 0.780 0.871
0.269 0.276 0.941
0.652 0.088 0.099
0.348 0.912 0.901
0.828 0.051 0.804
0.374 0.350 0.743
0.172 0.459 0.269
0.548 0.381 0.817
0.541 0.773 0.594
0.810 0.766 0.982
0.939 0.112 0.829
0.283 0.405 0.598
0.190 0.234 0.018
0.213 0.536 0.192
0.258 0.747 0.419
0.228 0.853 0.936
0.089 0.317 0.407
0.717 0.595 0.402
0.203 0.033 0.584
0.911 0.683 0.593
0.433 0.305 0.818
0.772 0.147 0.064
0.577 0.961 0.805
0.567 0.695 0.182
0.805 0.317 0.254
0.459 0.227 0.406
0.061 0.888 0.171
0.797 0.967 0.416
0.742 0.253 0.581
0.787 0.464 0.808
0.195 0.683 0.746
0.423 0.039 0.195
0.000 0.000 0.000
0.740 0.757 0.499
0.260 0.243 0.501
0.772 0.277 0.418
0.228 0.723 0.582
```

***

two:
A relaxed structure of U2NiAs2H24O24. Source: the Materials Project, functional GGA+U.

```
U2NiAs2H24O24
1.0
7.237 0.000 0.000
0.174 7.235 0.000
1.910 1.505 11.055
H Ni O As U
24 1 24 2 2
direct
0.566 0.369 0.324
0.623 0.646 0.727
0.556 0.893 0.233
0.531 0.076 0.299
0.072 0.110 0.249
0.069 0.744 0.685
0.183 0.755 0.388
0.817 0.245 0.612
0.931 0.256 0.315
0.444 0.107 0.767
0.253 0.132 0.612
0.817 0.539 0.366
0.747 0.868 0.388
0.345 0.876 0.407
0.281 0.237 0.479
0.655 0.124 0.593
0.833 0.542 0.227
0.434 0.631 0.676
0.928 0.890 0.751
0.167 0.458 0.773
0.469 0.924 0.701
0.377 0.354 0.273
0.183 0.461 0.634
0.719 0.763 0.521
0.000 0.000 0.500
0.819 0.313 0.753
0.220 0.825 0.449
0.206 0.538 0.695
0.461 0.225 0.905
0.912 0.696 0.091
0.780 0.175 0.551
0.539 0.775 0.095
0.272 0.777 0.918
0.181 0.687 0.247
0.794 0.462 0.305
0.728 0.223 0.082
0.817 0.804 0.451
0.088 0.304 0.909
0.808 0.952 0.901
0.012 0.145 0.328
0.988 0.855 0.672
0.269 0.421 0.089
0.447 0.297 0.335
0.731 0.579 0.911
0.553 0.703 0.665
0.554 0.939 0.311
0.192 0.048 0.099
0.446 0.061 0.689
0.183 0.196 0.549
0.253 0.249 0.001
0.747 0.751 0.999
0.228 0.734 0.082
0.772 0.266 0.918
```

***

two is preferred energetically. Next in line: 0.8 kJ/mol of atoms higher.

***

one:
A relaxed structure of LiMoAsO6. Source: the Materials Project, functional GGA+U.

```
LiMoAsO6
1.0
8.707 0.000 0.000
0.000 5.234 0.000
0.000 0.949 10.456
O Li As Mo
24 4 4 4
direct
0.435 0.392 0.069
0.627 0.773 0.969
0.746 0.244 0.517
0.446 0.541 0.309
0.612 0.957 0.227
0.568 0.821 0.505
0.935 0.608 0.931
0.237 0.499 0.821
0.246 0.756 0.483
0.068 0.179 0.495
0.929 0.068 0.266
0.752 0.891 0.732
0.366 0.871 0.062
0.737 0.501 0.179
0.946 0.459 0.691
0.866 0.129 0.938
0.429 0.932 0.734
0.606 0.351 0.767
0.112 0.043 0.773
0.923 0.678 0.449
0.127 0.227 0.031
0.252 0.109 0.268
0.106 0.649 0.233
0.423 0.322 0.551
0.906 0.311 0.103
0.406 0.689 0.897
0.736 0.966 0.390
0.236 0.034 0.610
0.802 0.842 0.894
0.926 0.378 0.536
0.426 0.622 0.464
0.302 0.158 0.106
0.567 0.677 0.157
0.581 0.118 0.664
0.067 0.323 0.843
0.081 0.882 0.336
```

***

two:
A relaxed structure of LiMoAsO6. Source: the Materials Project, functional GGA+U.

```
LiMoAsO6
1.0
5.006 0.000 0.000
0.000 9.096 0.000
0.000 0.000 9.573
O As Mo Li
24 4 4 4
direct
0.418 0.371 0.750
0.738 0.345 0.516
0.904 0.495 0.755
0.762 0.345 0.016
0.297 0.536 0.504
0.797 0.036 0.996
0.791 0.672 0.524
0.709 0.672 0.024
0.262 0.845 0.484
0.703 0.036 0.496
0.446 0.672 0.766
0.918 0.871 0.750
0.209 0.172 0.476
0.582 0.871 0.250
0.238 0.845 0.984
0.404 0.995 0.745
0.096 0.995 0.245
0.291 0.172 0.976
0.946 0.172 0.734
0.082 0.371 0.250
0.554 0.172 0.234
0.054 0.672 0.266
0.203 0.536 0.004
0.596 0.495 0.255
0.900 0.179 0.552
0.600 0.179 0.052
0.400 0.679 0.948
0.100 0.679 0.448
0.890 0.498 0.161
0.610 0.498 0.661